Activity >
It remains to duplicate everything underneath verbatim.
Material >
-- begin --
C4H5ClO | wB97M-V/def2-TZVPD

For the relative energy (zero: lowest compared OMol25 entry of this formula, charge and spin), the calculation gives 53.0 kJ/mol. The HOMO-LUMO gap is 0.3993 hartree. The LUMO energy is 0.8294 eV. As for the SMILES: O=CC1(Cl)CC1.

Geometry (Å):
O: -2.5901 -1.1702 1.6749
C: -1.5468 -0.7070 1.3007
C: -1.1784 -0.4260 -0.0854
Cl: -2.3455 -0.9007 -1.3007
C: 0.4096 -0.6113 -0.4988
C: -0.2466 0.7211 -0.4199
H: -0.7388 -0.4376 2.0122
H: 0.5529 -1.0786 -1.4549
H: 1.0640 -0.9194 0.2957
H: 0.0311 1.3779 0.3928
H: -0.4643 1.2428 -1.3392

Atom charges from the Mulliken analysis, given in e for atoms 1 to 2: -0.47 -0.01



C19H22N2O6S2 | wB97M-V/def2-TZVPD

For the relative energy (zero: lowest compared OMol25 entry of this formula, charge and spin), the calculation gives 2240.7 kJ/mol. The HOMO-LUMO gap is 0.2648 hartree. The LUMO energy is -1.0210 eV.

Geometry (Å):
O: 1.6497 -2.9795 -1.6971
C: 0.8380 -3.2122 -1.0003
O: 1.0038 -4.2405 -0.0620
H: 1.9400 -4.5562 -0.0766
C: -0.2439 -2.3792 -0.8713
C: -0.6558 -1.4071 -1.6078
C: -1.9109 -0.6473 -1.4237
C: -2.6610 -1.1464 -0.6475
C: -2.4285 -2.1889 0.2760
C: -1.3457 -2.8065 0.1557
H: -1.1709 -3.8591 0.9441
H: -3.1443 -2.5147 1.0717
H: -3.5512 -0.3527 -0.6352
S: -2.2757 0.4712 -2.7012
O: -2.8717 1.5108 -2.0458
O: -2.7998 0.0723 -3.8090
N: -0.7464 1.3358 -3.1305
C: 0.1626 1.7817 -2.1837
C: -0.0142 1.5426 -0.9978
C: 0.8809 2.0895 0.0571
C: 2.2490 2.6653 -0.4912
C: 2.2376 2.7087 -1.6811
C: 1.3146 2.1923 -2.7006
H: 1.4135 2.3322 -3.6625
H: 3.4134 3.0190 -2.3583
H: 2.8479 3.0121 0.1398
S: 0.7377 2.0094 1.7068
O: -0.6006 2.1630 2.0665
O: 1.8074 2.3389 2.5672
N: 0.5448 0.2145 1.6883
C: 1.8847 -0.6113 1.3552
C: 2.5336 -1.4322 2.4371
H: 1.7765 -2.3849 2.4727
H: 3.4771 -1.5814 2.1853
C: 2.4374 -0.7300 3.8893
H: 2.5132 0.0881 3.7497
C: 1.2362 -1.0466 4.5097
C: -0.2943 -0.1632 4.1860
H: 0.1339 0.8308 4.1990
C: -0.4034 -0.5619 2.7265
H: -1.4715 0.1199 2.3271
H: -0.5546 -1.5516 2.5945
H: -0.9352 -0.3820 4.7304
H: 1.2735 -0.5934 5.7131
H: 0.9428 -2.1547 4.6485
H: 3.1739 -1.1598 4.3005
H: 2.5387 0.4274 1.1644
H: 1.6923 -0.8877 0.3411
H: -0.8516 1.1493 -0.5335
H: -0.5371 1.1604 -3.9691
H: 0.0985 -1.3161 -2.4785

Atom charges from the Mulliken analysis, given in e for atoms 1 to 2: -0.41 0.50



C56H39N4O8OsP2S | wB97M-V/def2-TZVPD

For the relative energy (zero: lowest compared OMol25 entry of this formula, charge and spin), the calculation gives 13.1 kJ/mol. Its multiplicity is 5. As for the total charge: +3. The HOMO-LUMO gap (spin up / spin down) is 0.2311 / 0.1236 hartree. The LUMO energy (spin up / spin down) is -8.7906 / -11.7928 eV.

Geometry (Å):
Os: 11.8723 12.1895 14.0255
O: 10.7732 14.1435 13.9927
S: 11.6588 15.1078 14.7954
C: 10.9006 16.7096 14.6362
C: 11.3227 17.5660 15.6877
C: 10.8269 18.8395 15.8799
C: 9.9195 19.2708 14.8851
C: 9.2079 20.5415 14.8043
C: 8.4243 20.4999 13.4917
C: 8.7345 19.1757 12.9210
C: 8.3515 18.5898 11.7154
C: 8.8849 17.3091 11.4371
C: 9.7952 16.6033 12.2338
P: 10.3421 15.0339 11.4785
C: 11.4401 15.2833 10.0624
C: 12.0847 16.4949 9.8377
C: 13.0784 16.5635 8.8756
C: 13.3419 15.4914 8.0412
C: 12.6655 14.2924 8.2626
C: 11.7764 14.1230 9.3215
C: 8.8626 14.1332 11.1205
C: 7.9820 13.9891 12.1972
C: 6.8607 13.1762 12.0724
C: 6.5906 12.5322 10.8552
C: 7.4238 12.7354 9.7705
C: 8.5644 13.5247 9.9045
C: 10.1253 17.1820 13.4895
C: 9.6259 18.4721 13.7634
C: 11.4645 14.7545 16.5113
C: 10.2442 15.1446 17.0997
C: 10.1139 15.1265 18.4837
C: 11.2239 14.9359 19.3064
C: 11.3898 15.0354 20.7807
C: 12.7820 14.4427 21.0461
C: 13.3664 14.1723 19.6668
C: 14.5274 13.5756 19.2623
C: 14.6605 13.2268 17.8940
C: 13.7441 13.5853 16.9126
P: 13.9760 12.7487 15.3458
C: 15.3967 13.4200 14.4867
C: 15.4844 14.7732 14.1828
C: 16.5849 15.2609 13.5224
C: 17.6026 14.3984 13.1813
C: 17.5607 13.0468 13.5302
C: 16.4517 12.5589 14.2288
C: 14.1756 10.9505 15.5484
C: 14.4137 10.1976 14.3962
C: 14.3969 8.8024 14.4466
C: 14.1772 8.1386 15.6561
C: 13.9366 8.8976 16.8136
C: 13.9184 10.2856 16.7373
-- stop --
Solution >
C4H5ClO | wB97M-V/def2-TZVPD

For the relative energy (zero: lowest compared OMol25 entry of this formula, charge and spin), the calculation gives 53.0 kJ/mol. The HOMO-LUMO gap is 0.3993 hartree. The LUMO energy is 0.8294 eV. As for the SMILES: O=CC1(Cl)CC1.

Geometry (Å):
O: -2.5901 -1.1702 1.6749
C: -1.5468 -0.7070 1.3007
C: -1.1784 -0.4260 -0.0854
Cl: -2.3455 -0.9007 -1.3007
C: 0.4096 -0.6113 -0.4988
C: -0.2466 0.7211 -0.4199
H: -0.7388 -0.4376 2.0122
H: 0.5529 -1.0786 -1.4549
H: 1.0640 -0.9194 0.2957
H: 0.0311 1.3779 0.3928
H: -0.4643 1.2428 -1.3392

Atom charges from the Mulliken analysis, given in e for atoms 1 to 2: -0.47 -0.01



C19H22N2O6S2 | wB97M-V/def2-TZVPD

For the relative energy (zero: lowest compared OMol25 entry of this formula, charge and spin), the calculation gives 2240.7 kJ/mol. The HOMO-LUMO gap is 0.2648 hartree. The LUMO energy is -1.0210 eV.

Geometry (Å):
O: 1.6497 -2.9795 -1.6971
C: 0.8380 -3.2122 -1.0003
O: 1.0038 -4.2405 -0.0620
H: 1.9400 -4.5562 -0.0766
C: -0.2439 -2.3792 -0.8713
C: -0.6558 -1.4071 -1.6078
C: -1.9109 -0.6473 -1.4237
C: -2.6610 -1.1464 -0.6475
C: -2.4285 -2.1889 0.2760
C: -1.3457 -2.8065 0.1557
H: -1.1709 -3.8591 0.9441
H: -3.1443 -2.5147 1.0717
H: -3.5512 -0.3527 -0.6352
S: -2.2757 0.4712 -2.7012
O: -2.8717 1.5108 -2.0458
O: -2.7998 0.0723 -3.8090
N: -0.7464 1.3358 -3.1305
C: 0.1626 1.7817 -2.1837
C: -0.0142 1.5426 -0.9978
C: 0.8809 2.0895 0.0571
C: 2.2490 2.6653 -0.4912
C: 2.2376 2.7087 -1.6811
C: 1.3146 2.1923 -2.7006
H: 1.4135 2.3322 -3.6625
H: 3.4134 3.0190 -2.3583
H: 2.8479 3.0121 0.1398
S: 0.7377 2.0094 1.7068
O: -0.6006 2.1630 2.0665
O: 1.8074 2.3389 2.5672
N: 0.5448 0.2145 1.6883
C: 1.8847 -0.6113 1.3552
C: 2.5336 -1.4322 2.4371
H: 1.7765 -2.3849 2.4727
H: 3.4771 -1.5814 2.1853
C: 2.4374 -0.7300 3.8893
H: 2.5132 0.0881 3.7497
C: 1.2362 -1.0466 4.5097
C: -0.2943 -0.1632 4.1860
H: 0.1339 0.8308 4.1990
C: -0.4034 -0.5619 2.7265
H: -1.4715 0.1199 2.3271
H: -0.5546 -1.5516 2.5945
H: -0.9352 -0.3820 4.7304
H: 1.2735 -0.5934 5.7131
H: 0.9428 -2.1547 4.6485
H: 3.1739 -1.1598 4.3005
H: 2.5387 0.4274 1.1644
H: 1.6923 -0.8877 0.3411
H: -0.8516 1.1493 -0.5335
H: -0.5371 1.1604 -3.9691
H: 0.0985 -1.3161 -2.4785

Atom charges from the Mulliken analysis, given in e for atoms 1 to 2: -0.41 0.50



C56H39N4O8OsP2S | wB97M-V/def2-TZVPD

For the relative energy (zero: lowest compared OMol25 entry of this formula, charge and spin), the calculation gives 13.1 kJ/mol. Its multiplicity is 5. As for the total charge: +3. The HOMO-LUMO gap (spin up / spin down) is 0.2311 / 0.1236 hartree. The LUMO energy (spin up / spin down) is -8.7906 / -11.7928 eV.

Geometry (Å):
Os: 11.8723 12.1895 14.0255
O: 10.7732 14.1435 13.9927
S: 11.6588 15.1078 14.7954
C: 10.9006 16.7096 14.6362
C: 11.3227 17.5660 15.6877
C: 10.8269 18.8395 15.8799
C: 9.9195 19.2708 14.8851
C: 9.2079 20.5415 14.8043
C: 8.4243 20.4999 13.4917
C: 8.7345 19.1757 12.9210
C: 8.3515 18.5898 11.7154
C: 8.8849 17.3091 11.4371
C: 9.7952 16.6033 12.2338
P: 10.3421 15.0339 11.4785
C: 11.4401 15.2833 10.0624
C: 12.0847 16.4949 9.8377
C: 13.0784 16.5635 8.8756
C: 13.3419 15.4914 8.0412
C: 12.6655 14.2924 8.2626
C: 11.7764 14.1230 9.3215
C: 8.8626 14.1332 11.1205
C: 7.9820 13.9891 12.1972
C: 6.8607 13.1762 12.0724
C: 6.5906 12.5322 10.8552
C: 7.4238 12.7354 9.7705
C: 8.5644 13.5247 9.9045
C: 10.1253 17.1820 13.4895
C: 9.6259 18.4721 13.7634
C: 11.4645 14.7545 16.5113
C: 10.2442 15.1446 17.0997
C: 10.1139 15.1265 18.4837
C: 11.2239 14.9359 19.3064
C: 11.3898 15.0354 20.7807
C: 12.7820 14.4427 21.0461
C: 13.3664 14.1723 19.6668
C: 14.5274 13.5756 19.2623
C: 14.6605 13.2268 17.8940
C: 13.7441 13.5853 16.9126
P: 13.9760 12.7487 15.3458
C: 15.3967 13.4200 14.4867
C: 15.4844 14.7732 14.1828
C: 16.5849 15.2609 13.5224
C: 17.6026 14.3984 13.1813
C: 17.5607 13.0468 13.5302
C: 16.4517 12.5589 14.2288
C: 14.1756 10.9505 15.5484
C: 14.4137 10.1976 14.3962
C: 14.3969 8.8024 14.4466
C: 14.1772 8.1386 15.6561
C: 13.9366 8.8976 16.8136
C: 13.9184 10.2856 16.7373